The central government of India takes care for developing the agri-tech sector and aims to empower Indian farmers. The Indian government supports smart farming because they want to reduce their effort and enhance their productivity. At present, they are working to double the farmers’ income by 2022. They want to increase farmers’ income with minimum efforts by implementing smart farming.
# Next to the article, the page also holds calculated molecules
C39H34AsN2O6S5Y as an isolated structure in a non-equilibrium geometry, computed with wB97M-V/def2-TZVPD.

Structure (ORCA input):
```
! wB97M-V def2-TZVPD RIJCOSX def2/J DEFGRID3
* xyz -2 1
Y -0.029 -0.636 0.811
O -1.624 1.522 5.809
C -0.642 0.655 6.122
C -0.116 0.697 7.414
C 0.914 -0.149 7.783
C 1.446 -1.056 6.871
C 0.921 -1.100 5.591
C -0.125 -0.269 5.199
C -0.602 -0.370 3.794
O -0.053 -1.214 3.022
N -1.567 0.456 3.445
N -1.881 0.301 2.099
C -2.904 0.967 1.710
C -3.522 0.869 0.394
C -4.726 1.548 0.181
C -5.441 1.412 -0.991
C -4.947 0.543 -1.975
C -3.768 -0.146 -1.794
C -2.999 0.033 -0.620
O -1.860 -0.567 -0.491
H -1.814 1.388 4.833
H -0.521 1.429 8.100
H 1.321 -0.083 8.785
H 2.276 -1.694 7.145
H 1.328 -1.763 4.837
H -3.400 1.606 2.446
H -5.099 2.185 0.977
H -6.366 1.953 -1.141
H -5.496 0.408 -2.901
H -3.362 -0.820 -2.541
S -1.101 -2.793 -3.276
C -0.538 -1.488 -4.291
C -0.842 -1.551 -5.678
C -0.468 -0.587 -6.582
C 0.248 0.533 -6.155
C 0.553 0.632 -4.814
C 0.181 -0.350 -3.884
As 0.720 0.062 -2.046
C 2.646 0.369 -2.341
C 3.298 -0.203 -3.431
C 4.675 -0.083 -3.576
C 5.416 0.613 -2.630
C 4.776 1.163 -1.529
C 3.402 1.028 -1.374
C 0.028 1.921 -2.100
C -1.317 2.063 -2.431
C -1.919 3.312 -2.427
C -1.172 4.439 -2.112
C 0.173 4.307 -1.803
C 0.768 3.050 -1.785
H -1.400 -2.418 -6.009
H -0.733 -0.705 -7.627
H 0.548 1.313 -6.845
H 1.098 1.504 -4.470
H 2.731 -0.746 -4.178
H 5.160 -0.540 -4.430
H 6.489 0.709 -2.743
H 5.344 1.673 -0.761
H 2.925 1.403 -0.472
H -1.904 1.193 -2.699
H -2.974 3.391 -2.660
H -1.641 5.416 -2.091
H 0.764 5.175 -1.543
H 1.808 2.965 -1.503
O 3.960 2.221 5.748
C 3.439 1.828 4.728
S 3.844 0.312 3.927
C 2.717 0.436 2.589
C 1.941 1.534 2.563
S 0.774 1.961 1.306
S 2.137 2.670 3.888
S 2.678 -0.891 1.451
C -2.730 -2.816 1.161
O -1.318 -2.923 1.078
C -0.902 -3.939 0.171
C 0.579 -4.084 0.364
O 1.265 -2.911 -0.051
C 1.999 -3.038 -1.266
H -3.142 -3.765 1.525
H -3.154 -2.571 0.186
H -2.954 -2.019 1.866
H -1.146 -3.637 -0.853
H -1.415 -4.882 0.412
H 0.962 -4.956 -0.177
H 0.789 -4.203 1.432
H 2.600 -3.953 -1.222
H 2.674 -2.185 -1.312
H 1.322 -3.064 -2.128
*
```

Properties
HOMO: -1.7 eV
energy relative to the best compared isomer or geometry (same formula, charge and spin): 9.8 kcal/mol
orbital gap: 6.0 eV

***

C39H34ClN3SSi2W as an isolated structure in a non-equilibrium geometry, computed with wB97M-V/def2-TZVPD.

Structure (ORCA input):
```
! wB97M-V def2-TZVPD RIJCOSX def2/J DEFGRID3
* xyz 2 3
C -1.022 1.781 4.501
C 0.162 1.561 3.734
C 0.013 2.216 2.482
H 1.068 1.072 4.091
C -1.279 2.844 2.460
C -1.908 2.600 3.725
H -2.846 3.032 4.072
H -1.156 1.529 5.551
H 0.761 2.300 1.703
H -1.674 3.482 1.677
W -1.551 0.652 2.642
Si 1.685 0.605 -3.425
C 2.364 -0.886 -4.363
C 1.516 -1.648 -5.182
H 0.516 -1.277 -5.420
C 1.933 -2.892 -5.662
H 1.255 -3.498 -6.268
C 3.221 -3.359 -5.372
H 3.551 -4.330 -5.746
C 4.096 -2.566 -4.617
H 5.109 -2.921 -4.413
C 3.676 -1.328 -4.130
H 4.350 -0.702 -3.542
C 0.672 1.550 -4.681
C 1.330 2.162 -5.765
H 2.417 2.079 -5.861
# Back to the article
Supports, initiated from the government of India, are for example: digitalization of the PACS (Primary Agricultural Credit Society), MANAGE (Management of Agricultural Extension in Hyderabad), mentoring the agri-tech start-ups, PMKSY (Pradhan Mantri Krishi Sinchayee Yojana), and One Nation One Market.
Are smart technologies affordable for the farmers?
[Misplaced quantum chemistry results]
- - -
1.
ORCA calculation (ωB97M-V/def2-TZVPD) on the molecule C5H10N2.

Geometry as XYZ:
```
17
Properties=species:S:1:pos:R:3:forces:R:3
N -0.788166 1.520455 -0.139402 -2.2 -2.3 2.6
N 2.012363 -0.448579 0.161780 3.5 -0.3 -1.4
C -1.053830 -0.829707 0.695078 6.7 0.2 -0.3
C -0.328753 0.547634 0.973754 -1.1 0.8 3.9
C -0.911621 -0.894804 -0.756446 0.4 3.0 -2.9
C 1.001354 0.538615 0.087470 3.1 1.7 5.9
C 0.003007 0.472901 -0.846762 -4.4 -0.2 -6.2
H -1.909029 -0.903130 1.158145 -4.8 -0.3 2.1
H -0.356409 -1.600817 1.101025 -0.6 0.4 0.2
H -0.630496 0.736194 2.129099 1.5 0.5 -2.4
H 0.306309 0.887560 -1.773078 0.0 -0.4 -1.9
H -1.839451 1.304340 -0.081988 1.7 0.7 -1.1
H 2.155200 -0.563183 -0.945510 0.9 -0.2 3.3
H -0.371446 -1.754773 -1.155402 -0.5 0.0 -0.1
H -1.827445 -0.543438 -1.336730 1.1 -1.2 0.5
H 2.990257 -0.005851 0.700410 -3.7 -1.7 -2.6
H 1.548159 1.536576 0.028565 -1.6 -0.7 0.5
```
Forces are in eV/Å.

Computed properties:
Frontier orbital gap = 10.3 eV
E = -8322.72312 eV
HOMO level = -9.41 eV
LUMO energy = 0.90 eV
Total charge = 0
Spin multiplicity = 1
Energy above the lowest of the compared OMol25 structures with the same formula, charge and spin = 444.81 kJ/mol
Largest force on an atom = 7.59 eV/A

Atom-resolved charges from natural (NBO), all expressed in e:
1. N -0.59
2. N -0.83
3. C -0.46
4. C -0.05
5. C -0.41
6. C -0.08
7. C -0.09
8. H 0.20
9. H 0.22
10. H 0.19
11. H 0.19
12. H 0.34
13. H 0.36
14. H 0.22
15. H 0.21
16. H 0.38
17. H 0.20



2.
ORCA calculation (ωB97M-V/def2-TZVPD) on a cluster of 3 separate species, C7H12O in total.

Geometry as XYZ:
```
20
Properties=species:S:1:pos:R:3:forces:R:3
O -2.927308 -0.280735 -1.482389 1.1 0.3 0.5
C 1.516589 -0.349482 0.849255 -0.5 1.7 -2.0
C 1.720226 -1.729549 0.295537 -0.1 0.0 -0.1
C -2.680972 0.124457 -0.378157 -0.3 -0.9 1.5
C -0.089915 0.621257 -0.192210 5.2 -1.4 1.8
C 0.138819 0.700440 -1.642705 -0.3 0.0 -0.1
C -0.548600 1.469759 0.953706 0.1 -0.3 0.0
C -0.845246 0.003097 0.749638 -5.9 0.2 -1.7
H 1.818660 -1.716207 -0.791638 0.0 0.0 0.0
H -0.789199 1.040218 -2.115201 0.1 0.0 -0.1
H 0.943296 1.396978 -1.877579 0.0 0.0 0.0
H 0.892192 -2.393442 0.557213 0.0 0.0 0.0
H 2.634186 -2.193246 0.686252 -0.1 0.1 0.0
H -1.034068 -0.922334 1.266796 0.5 0.0 0.1
H 0.371771 -0.279057 -2.060023 0.0 0.0 0.0
H 1.403256 -0.298682 1.929563 -0.5 0.1 -0.1
H 0.175744 1.767957 1.704440 0.0 0.0 -0.1
H 2.232245 0.399811 0.518851 0.4 -0.2 0.1
H -1.348151 2.183845 0.796978 -0.1 -0.1 0.0
H -3.583525 0.454916 0.231675 0.5 0.3 0.0
```
Forces are in eV/Å.

Computed properties:
Frontier orbital gap = 7.9 eV
E = -9494.57554 eV
HOMO level = -6.91 eV
LUMO energy = 0.96 eV
Total charge = 0
Spin multiplicity = 1
Energy above the lowest of the compared OMol25 structures with the same formula, charge and spin = 602.36 kJ/mol
Largest force on an atom = 6.20 eV/A

Atom-resolved charges from natural (NBO), all expressed in e:
1. O -0.55
2. C -0.38
3. C -0.65
4. C 0.32
5. C 0.09
6. C -0.66
7. C -0.45
8. C -0.18
9. H 0.21
10. H 0.25
11. H 0.22
- - -
[So much for the quantum chemistry results]
Hi-tech and technologically advanced products indeed provide comfortable work with high productivity. If smart farming is not affordable for the farmers, even if they want to adopt smart farming, they won’t. Most of the Indian farmers have limited income that prevents farmers from using the digital revolution in farming. Therefore, start-up agri-tech must prepare their products and services based on the farmer’s budget to get the full benefits.
Indian people are traditionalists and believe that the methods used from ancient times are the best for agriculture. But the growing population and the fast global changes are prerequisites for the fact that farming methods should also change. To do that, Indian farmers have to apply innovative technologies to their work.
Here are some technologies which should be enhanced:
- Product Innovations: As everything else, products also need to undergo innovation. For this pupose, there should be new technologies available on the market which create fully new kinds of products.
- Digital Markerplaces: eNam (National Agriculture Market) is an electronic portal for trading, provided by the government of India to the local farmers. This digital marketplace aim to promote equality in the agriculture market and to give farmers the opportunity to lease equipment, connect to local customers, or pool together for superior insurance.
- Operations Software: It will support farmers in making decisions, in saving money and in tracking resources or productivity.
- Skills-building Tools: In Indian farming, there is a need for skill building. Farmers has inherited their way of work from their parents or ancestors. They should be trained to use the newly introduced technologies. For that, skills-building tools should be introduced in the market for the farmers. Such tools offer hotline voice services, videos, mobile apps and others. These tools help farmers to share experiences and learn new and innovative things.
• Misplaced quantum chemistry results:
'''
(1)
The following is a DFT calculation (ωB97M-V/def2-TZVPD) of an isolated molecule of C4H9NO2.

```
! wB97M-V def2-TZVPD RIJCOSX def2/J DEFGRID3
* xyz 0 1
C -1.05 1.29 -0.55
C -0.32 0.40 0.44
C -0.88 -1.03 0.40
O -0.42 -1.85 1.45
N 1.14 0.53 0.17
C 1.93 -0.32 -0.55
O 1.81 -1.53 -0.66
H -0.69 2.32 -0.46
H -2.14 1.31 -0.39
H -0.83 0.93 -1.56
H -0.51 0.77 1.45
H -1.96 -0.91 0.56
H -0.74 -1.49 -0.58
H 0.49 -2.10 1.23
H 1.43 1.50 0.14
H 2.74 0.20 -1.10
*
```

Summary:
orbital gap: 10.71 eV
E: -9879.01581 eV
SMILES: C[C@@H](CO)NC=O
energy above the lowest of the compared OMol25 structures with the same formula, charge and spin: 24.09 kcal/mol

Mulliken population analysis, charges in e, atoms 1 to 4:
1. C -1.39
2. C 0.50
3. C -0.79
4. O -0.54


(2)
The following is a DFT calculation (ωB97M-V/def2-TZVPD) of a cluster of 8 separate species, C24H48O24 in total.

```
! wB97M-V def2-TZVPD RIJCOSX def2/J DEFGRID3
* xyz 0 1
C 1.56 -17.43 13.15
O 2.01 -18.62 13.60
C 3.33 -18.81 13.83
O 4.16 -17.84 13.77
O 3.57 -20.15 13.91
C 4.89 -20.67 13.84
H 1.88 -16.60 13.78
H 0.47 -17.40 13.12
H 1.97 -17.21 12.16
H 5.48 -20.28 13.01
H 4.91 -21.76 13.79
H 5.33 -20.48 14.82
C 5.97 -22.97 17.45
O 7.31 -22.48 17.87
C 7.87 -21.42 17.21
O 7.29 -20.75 16.36
O 9.22 -21.23 17.72
C 10.00 -20.12 17.22
H 5.82 -23.26 16.41
H 5.30 -22.16 17.73
H 5.56 -23.75 18.09
H 11.04 -20.25 17.54
H 9.60 -19.16 17.57
H 10.02 -20.07 16.13
C 2.47 -22.62 12.13
O 1.86 -21.64 11.35
C 2.53 -20.68 10.78
O 3.80 -20.60 10.74
O 1.60 -19.78 10.29
C 2.00 -18.79 9.38
H 2.68 -22.27 13.14
H 3.43 -22.96 11.73
H 1.77 -23.45 12.16
H 2.59 -19.28 8.61
H 2.72 -18.13 9.86
H 1.16 -18.19 9.03
C 0.33 -21.03 14.62
O -0.51 -21.91 15.29
C -1.89 -21.84 15.17
O -2.53 -21.05 14.50
O -2.31 -22.76 16.02
C -3.70 -23.07 16.01
H 1.38 -21.23 14.81
H 0.07 -20.00 14.88
H 0.26 -21.06 13.53
H -4.32 -22.21 15.77
H -4.16 -23.37 16.95
H -3.95 -23.98 15.46
C 11.80 -17.85 10.43
O 10.47 -17.69 10.87
C 9.53 -18.32 10.13
O 9.70 -18.88 9.04
O 8.49 -18.31 10.77
C 7.35 -19.01 10.26
H 12.38 -17.14 11.02
H 11.84 -17.66 9.36
H 12.20 -18.84 10.60
H 7.50 -20.05 10.56
H 7.27 -19.01 9.17
H 6.39 -18.68 10.64
C 4.14 -15.17 10.88
O 4.75 -16.14 10.06
C 5.19 -15.81 8.92
O 5.07 -14.69 8.39
O 5.75 -16.86 8.30
C 6.20 -16.68 6.96
H 4.25 -15.64 11.86
H 3.13 -14.97 10.54
H 4.55 -14.16 10.83
H 6.97 -15.92 7.06
H 5.44 -16.34 6.26
H 6.65 -17.60 6.58
C -3.38 -14.75 15.29
O -2.55 -15.66 16.02
C -1.40 -15.95 15.68
O -0.84 -15.45 14.76
O -0.96 -16.91 16.52
C 0.48 -17.26 16.43
H -2.85 -13.84 15.01
H -4.18 -14.33 15.90
H -3.84 -15.27 14.45
H 1.01 -17.38 17.37
H 1.15 -16.64 15.84
H 0.59 -18.19 15.87
C 10.27 -14.78 18.05
O 9.60 -15.98 17.64
C 8.48 -15.90 16.82
O 7.78 -14.89 16.60
O 8.24 -17.14 16.39
C 7.05 -17.43 15.79
H 10.81 -14.35 17.21
H 10.97 -14.85 18.88
H 9.51 -14.04 18.29
H 7.14 -17.32 14.71
H 6.22 -16.87 16.22
H 7.01 -18.48 16.06
*
```

Summary:
orbital gap: 10.72 eV
E: -74802.14377 eV
'''
- Resources: Resources shoul be fully utilized. New irrigation systems in India provide highly targeted fertilizer and water. The applied methods need to aim to use less water and soil, which reduces pesticides too.
These techniques of smart farming come with enormous benefits and can help to improve farming productivity. Check out our article about the advantages of Smart Farming here.